Standby Mode
There are two ways to implement the standby mode on the MBM29DL16XTE/BE devices, one using both the
CE and RESET pins; the other via the RESET pin only.
When using both pins, a CMOS standby mode is achieved with CE and RESET inputs both held at VCC ± 0.3 V.
Under this condition the current consumed is less than 5
A max. During Embedded Algorithm operation, VCC
active current (ICC2) is required even CE = “H”. The device can be read with standard access time (tCE) from either
of these standby modes.
When using the RESET pin only, a CMOS standby mode is achieved with RESET input held at VSS ± 0.3 V
(CE = “H” or “L”). Under this condition the current is consumed is less than 5
A max. Once the RESET pin is
taken high, the device requires tRH of wake up time before outputs are valid for read access.
In the standby mode the outputs are in the high impedance state, independent of the OE input.
Automatic Sleep Mode
There is a function called automatic sleep mode to restrain power consumption during read-out of
MBM29DL16XTE/BE data. This mode can be used effectively with an application requested low power
consumption such as handy terminals.
To activate this mode, MBM29DL16XTE/BE automatically switch themselves to low power mode when
MBM29DL16XTE/BE addresses remain stably during access fine of 150 ns. It is not necessary to control CE,
WE, and OE on the mode. Under the mode, the current consumed is typically 1
A (CMOS Level).
During simultaneous operation, VCC active current (ICC2) is required.
Since the data are latched during this mode, the data are read-out continuously. If the addresses are changed,
the mode is canceled automatically and MBM29DL16XTE/BE read-out the data for changed addresses.
Output Disable
With the OE input at a logic high level (VIH), output from the devices are disabled. This will cause the output pins
to be in a high impedance state.
The autoselect mode allows the reading out of a binary code from the devices and will identify its manufacturer
and type. This mode is intended for use by programming equipment for the purpose of automatically matching
The following is a theoretical X-ray powder pattern of La2PdO5. It was derived from a DFT-relaxed cell (GGA-PBE, OQMD), using Cu Kα (λ = 1.5418 Å).
Intensities are scaled so that the largest is 100.

Structural model:
Cell lengths 7.0104, 7.0104, 7.0104 Å; angles 99.66, 99.66, 131.63 degrees
Positions (direct):
La1 0.1056 0.3170 0.4226
La2 0.3170 0.8944 0.2113
La3 0.6830 0.1056 0.7887
La4 0.8944 0.6830 0.5774
Pd1 0.2600 0.2600 0.0000
Pd2 0.7400 0.7400 0.0000
O1 0.0486 0.1453 0.7088
O2 0.1453 0.4365 0.0967
O3 0.2500 0.7500 0.5000
O4 0.3398 0.0486 0.9033
O5 0.4365 0.3398 0.2912
O6 0.5635 0.6602 0.7088
O7 0.6602 0.9514 0.0967
O8 0.7500 0.2500 0.5000
O9 0.8547 0.5635 0.9033
O10 0.9514 0.8547 0.2912

Principal peaks in the range 2θ = 10–90°, by angle:
2θ = 26.96°, 3.307 Å, intensity 100
2θ = 31.28°, 2.860 Å, intensity 37
2θ = 34.22°, 2.620 Å, intensity 25
2θ = 37.08°, 2.424 Å, intensity 14
2θ = 44.78°, 2.024 Å, intensity 50
2θ = 51.44°, 1.776 Å, intensity 12
2θ = 52.91°, 1.731 Å, intensity 14
2θ = 53.08°, 1.725 Å, intensity 24
2θ = 65.25°, 1.430 Å, intensity 8
2θ = 82.36°, 1.171 Å, intensity 9

~~~~~

Simulated powder X-ray diffraction pattern
Compound: SiNi2Cl
Radiation: Cu Kα, 1.54184 Å
Structure: a structure optimized by DFT (GGA-PBE)

```
data_SiNi2Cl
_chemical_formula_sum 'Si1 Ni2 Cl1'
_space_group_name_H-M_alt 'P m m 2'
_space_group_IT_number 25
_space_group_name_Hall 'P 2 -2'
_cell_length_a 3.187
_cell_length_b 3.354
_cell_length_c 5.855
_cell_angle_alpha 90.00
_cell_angle_beta 90.00
_cell_angle_gamma 90.00
loop_
_atom_site_label
_atom_site_type_symbol
_atom_site_fract_x
_atom_site_fract_y
_atom_site_fract_z
Si1 Si 0.000 0.000 0.000
Ni1 Ni 0.000 0.500 0.743
Ni2 Ni 0.500 0.500 0.081
Cl1 Cl 0.500 0.500 0.472
```

Most intense lines, 2θ = 10–80°, by angle:
(hkl)	Position (°2θ)	I_rel
0 0 1	15.13	59
0 1 0	26.58	100
1 0 1	31.98	69
1 1 0	38.99	15
1 0 2	41.91	36
1 1 1	42.05	80
0 0 3	46.54	24
1 1 2	50.32	91
0 1 3	54.39	31
0 2 0	54.74	24
2 0 0	57.87	20
2 1 0	64.80	29

Simulated powder X-ray diffraction pattern
Compound: Sm3NiCl3
Radiation: Cu Kα, 1.54184 Å
Structure: a structure optimized by DFT (GGA-PBE)

```
data_Sm3NiCl3
_chemical_formula_sum 'Sm24 Ni8 Cl24'
_space_group_name_H-M_alt 'I 41 3 2'
_space_group_IT_number 214
_space_group_name_Hall 'I 4bd 2c 3'
_cell_length_a 11.481
_cell_length_b 11.481
_cell_length_c 11.481
_cell_angle_alpha 90.00
_cell_angle_beta 90.00
_cell_angle_gamma 90.00
loop_
_atom_site_label
_atom_site_type_symbol
_atom_site_fract_x
_atom_site_fract_y
_atom_site_fract_z
Sm1 Sm 0.112 0.362 0.125
Ni1 Ni 0.125 0.125 0.125
Cl1 Cl 0.122 0.128 0.625
```

Most intense lines, 2θ = 10–80°, by angle:
(hkl)	Position (°2θ)	I_rel
1 1 0	10.90	75
2 2 2	26.90	35
3 2 1	29.10	19
4 0 0	31.16	100
4 1 1	33.11	10
3 3 2	36.72	11
5 1 0	40.05	17
4 4 0	44.65	69
5 4 1	51.59	11
6 2 2	52.90	15
4 4 4	55.45	22
8 4 0	73.83	25

Simulated powder X-ray diffraction pattern
Compound: Sm3NiTeCl
Radiation: Cu Kα, 1.54184 Å
the devices to be programmed with its corresponding programming algorithm. This mode is functional over the
entire temperature range of the devices.
+++
1.
Structure and simulated PXRD pattern of Sr2LiAlHg6 (DFT lattice parameters and positions (PBE); a wavelength of 1.5418 Å).

Principal peaks in the range 5 to 70 degrees two-theta, low angle first:
29.58 deg, I = 100; 30.38 deg, I = 94; 34.58 deg, I = 37; 34.77 deg, I = 36; 34.92 deg, I = 36; 58.90 deg, I = 29

Unit cell a=7.305 b=7.305 c=7.145 alpha=119.14 beta=119.14 gamma=90.49
Atoms (fractional coordinates):
Sr1 0.249 0.751 0.000
Sr2 0.751 0.249 0.000
Li1 0.500 0.500 0.500
Al1 0.000 0.000 0.500
Hg1 0.257 0.257 0.498
Hg2 0.257 0.743 0.500
Hg3 0.259 0.259 0.015
Hg4 0.741 0.741 0.985
Hg5 0.743 0.257 0.500
Hg6 0.743 0.743 0.502

---

2.
Structure and simulated PXRD pattern of Tb2ScAl6 (DFT lattice parameters and positions (PBE); a wavelength of 1.5418 Å).

Principal peaks in the range 5 to 70 degrees two-theta, low angle first:
13.00 deg, I = 29; 22.61 deg, I = 56; 34.85 deg, I = 100; 39.70 deg, I = 46; 53.83 deg, I = 34; 68.93 deg, I = 43

Unit cell a=7.866 b=7.866 c=3.406 alpha=90.00 beta=90.00 gamma=120.00
Atoms (fractional coordinates):
Tb1 0.333 0.667 0.000
Tb2 0.667 0.333 0.000
Sc1 0.000 0.000 0.000
Al1 0.000 0.330 0.500
Al2 0.000 0.670 0.500
Al3 0.330 0.000 0.500
Al4 0.330 0.330 0.500
Al5 0.670 0.000 0.500
Al6 0.670 0.670 0.500

---

3.
Structure and simulated PXRD pattern of ThMgBi3 (DFT lattice parameters and positions (PBE); a wavelength of 1.5418 Å).

Principal peaks in the range 5 to 70 degrees two-theta, low angle first:
6.26 deg, I = 57; 30.06 deg, I = 100; 30.32 deg, I = 58; 31.68 deg, I = 58; 33.32 deg, I = 62; 33.55 deg, I = 52

Unit cell a=14.120 b=6.554 c=6.489 alpha=90.00 beta=90.00 gamma=90.00
Atoms (fractional coordinates):
Th1 0.183 0.001 0.250
Th2 0.183 0.499 0.750
Th3 0.817 0.501 0.250
Th4 0.817 0.999 0.750
Mg1 0.395 0.250 0.000
Mg2 0.395 0.250 0.500
Mg3 0.605 0.750 0.000
Mg4 0.605 0.750 0.500
Bi1 0.000 0.250 0.000
Bi2 0.000 0.250 0.500
Bi3 0.000 0.750 0.000
Bi4 0.000 0.750 0.500
Bi5 0.235 0.002 0.750
Bi6 0.235 0.498 0.250
Bi7 0.419 0.647 0.750
Bi8 0.419 0.853 0.250
Bi9 0.581 0.147 0.750
Bi10 0.581 0.353 0.250
Bi11 0.765 0.502 0.750
Bi12 0.765 0.998 0.250

---

4.
Structure and simulated PXRD pattern of PrCu6 (DFT lattice parameters and positions (PBE); a wavelength of 1.5418 Å).

Principal peaks in the range 5 to 70 degrees two-theta, low angle first:
37.16 deg, I = 64; 38.56 deg, I = 57; 38.74 deg, I = 42; 38.96 deg, I = 100; 45.69 deg, I = 47; 45.83 deg, I = 50

Unit cell a=5.162 b=10.144 c=8.080 alpha=90.00 beta=90.69 gamma=90.00
Atoms (fractional coordinates):
Pr1 0.245 0.063 0.239
Pr2 0.245 0.437 0.739
Pr3 0.755 0.563 0.261
Pr4 0.755 0.937 0.761
Cu1 0.002 0.191 0.567
Cu2 0.002 0.309 0.067
Cu3 0.251 0.517 0.100
Cu4 0.251 0.983 0.600
Cu5 0.252 0.143 0.852
Cu6 0.252 0.357 0.352
Cu7 0.252 0.744 0.681
Cu8 0.252 0.756 0.181
Cu9 0.263 0.598 0.433
Cu10 0.263 0.902 0.933
Cu11 0.491 0.190 0.565
Cu12 0.491 0.310 0.065
Cu13 0.509 0.690 0.935
Cu14 0.509 0.810 0.435
Cu15 0.737 0.098 0.067
Cu16 0.737 0.402 0.567
+++
[Back to the entry]
To activate this mode, the programming equipment must force VID (11.5 V to 12.5 V) on address pin A9. Two
identifier bytes may then be sequenced from the devices outputs by toggling address A0 from VIL to VIH. All
addresses are DON’T CARES except A6, A1 A0, and (A-1). (See “MBM29DL16XTE/BE User Bus Operations
The manufacturer and device codes may also be read via the command register, for instances when the
MBM29DL16XTE/BE are erased or programmed in a system without access to high voltage on the A9 pin. The
command sequence is illustrated in “MBM29DL16XTE/BE Command Definitions Table” in sDEVICE BUS
OPERATION. (Refer to “Autoselect Command” in sCOMMAND DEFINITIONS.)
Word 0 (A0 = VIL) represents the manufacturer’s code (Fujitsu = 04h) and word 1 (A0 = VIH) represents the device
identifier code (MBM29DL161TE = 36h and MBM29DL161BE = 39h for
×8 mode; MBM29DL161TE = 2236h
and MBM29DL161BE = 2239h for
×16 mode), (MBM29DL162TE = 2Dh and MBM29DL162BE = 2Eh for ×8
mode; MBM29DL162TE = 222Dh and MBM29DL162BE = 222Eh for
×16 mode), (MBM29DL163TE = 28h and
MBM29DL163BE = 2Bh for
×8 mode; MBM29DL163TE = 2228h and MBM29DL163BE = 222Bh for ×16 mode),